Dual energy computed tomography quantification of carotid plaques calcification: comparison between monochromatic and polychromatic energies with pathology correlation
[Someone pasted data records at this point]
-- begin --
{"formula": "K3In", "functional": "PBE", "state": "optimized geometry", "lattice": [[0.000, 4.613, 4.613], [4.613, 0.000, 4.613], [4.613, 4.613, 0.000]], "species": ["K", "In", "K", "K"], "fractional_positions": [[0.750, 0.750, 0.750], [0.000, 0.000, 0.000], [0.500, 0.500, 0.500], [0.250, 0.250, 0.250]], "final_energy_ev_per_atom": -1.46, "formation_enthalpy_0k_ev_per_fu": 0.3, "volume_a3_per_cell": 196.32, "e_above_lowest_polymorph_ev_per_fu": 0.014, "sg": "Fm-3m, No. 225"}

=====

{"formula": "K3In", "functional": "PBE", "state": "optimized geometry", "lattice": [[-3.431, 0.627, 4.675], [-4.560, -1.920, -3.089], [1.207, -5.472, 1.620]], "species": ["K", "In", "K", "K"], "fractional_positions": [[0.500, 0.000, 0.500], [0.000, 0.000, 0.000], [0.500, 0.500, 0.000], [0.000, 0.500, 0.500]], "final_energy_ev_per_atom": -1.45, "formation_enthalpy_0k_ev_per_fu": 0.3, "volume_a3_per_cell": 198.40, "e_above_lowest_polymorph_ev_per_fu": 0.027, "sg": "Pm-3m, No. 221"}

=====

{"formula": "KLaNbInO6", "functional": "PBE", "state": "optimized geometry", "lattice": [[3.241, 2.516, 4.151], [2.962, 4.890, -1.174], [-1.688, 5.069, 2.349]], "species": ["O", "La", "O", "O", "O", "In", "O", "Nb", "O", "K"], "fractional_positions": [[0.742, 0.258, 0.258], [0.750, 0.750, 0.750], [0.258, 0.742, 0.258], [0.742, 0.742, 0.258], [0.258, 0.742, 0.742], [0.000, 0.000, 0.000], [0.258, 0.258, 0.742], [0.500, 0.500, 0.500], [0.742, 0.258, 0.742], [0.250, 0.250, 0.250]], "final_energy_ev_per_atom": -7.22, "formation_enthalpy_0k_ev_per_fu": -27.7, "volume_a3_per_cell": 140.56, "corrected_energy_ev_per_atom": -7.633, "sg": "F-43m, No. 216"}

=====

(1)
DFT (PBE with a Hubbard U) results for crystalline FeMoClO4 at its relaxed geometry.

CIF file:
```
data_FeMoClO4
_cell_length_a 5.6261
_cell_length_b 6.7843
_cell_length_c 6.7843
_cell_angle_alpha 90.00
_cell_angle_beta 90.00
_cell_angle_gamma 90.00
_space_group_name_H-M_alt 'P 1'
_space_group_IT_number 1
_space_group_name_Hall 'P 1'
loop_
_atom_site_label
_atom_site_fract_x
_atom_site_fract_y
_atom_site_fract_z
Fe1 0.7325 0.7500 0.7500
Fe2 0.2675 0.2500 0.2500
Mo1 0.0000 0.2500 0.7500
Mo2 0.0000 0.7500 0.2500
Cl1 0.6645 0.2500 0.2500
Cl2 0.3355 0.7500 0.7500
O1 0.1852 0.9651 0.2500
O2 0.1852 0.5349 0.2500
O3 0.1852 0.2500 0.5349
O4 0.1852 0.2500 0.9651
O5 0.8148 0.7500 0.4651
O6 0.8148 0.0349 0.7500
O7 0.8148 0.7500 0.0349
O8 0.8148 0.4651 0.7500
```

---

(2)
DFT (PBE with a Hubbard U) results for crystalline FeMoClO4 at its relaxed geometry.

CIF file:
```
data_FeMoClO4
_cell_length_a 5.5417
_cell_length_b 6.7510
_cell_length_c 6.7505
_cell_angle_alpha 90.07
_cell_angle_beta 90.00
_cell_angle_gamma 89.94
_space_group_name_H-M_alt 'P 1'
_space_group_IT_number 1
_space_group_name_Hall 'P 1'
loop_
_atom_site_label
_atom_site_fract_x
_atom_site_fract_y
_atom_site_fract_z
Fe1 0.2675 0.2498 0.2500
Fe2 0.7526 0.7514 0.7492
Mo1 0.9951 0.2504 0.7501
Mo2 0.9953 0.7498 0.2497
Cl1 0.6701 0.2498 0.2501
Cl2 0.3444 0.7492 0.7505
-- stop --
[End of the data records]
Dual energy computed tomography quantification of carotid plaques calcification: comparison between monochromatic and polychromatic energies with pathology correlation(342 views) Mannelli L, MacDonald L, Mancini M, Ferguson M, Shuman WP, Ragucci M, Monti S, Xu D, Yuan C, Mitsumori LM
Departments of Radiology, University of WashingtonSeattle, WA, United States
IRCCS Fondazione SDNNaples, Italy
Department of Radiology, Memorial Sloan Kettering Cancer Center, 1275 York AvenueNew York, NY, United States
References: Not available.
Dual energy computed tomography quantification of carotid plaques calcification: comparison between monochromatic and polychromatic energies with pathology correlation
PURPOSE: We compared carotid plaque calcification detection sensitivity and apparent cross-sectional area on CT as a function of CT beam energy using conventional CT techniques and virtual mono-energetic CT images generated from dual-energy acquisitions. METHODS \\\\& MATERIALS: Five ex-vivo carotid endarterectomy (CEA) specimens were imaged with dual-energy computed tomography. Virtual monochromatic spectrum (VMS) CT images were reconstructed at energies between 40-140 keV. The same specimens were imaged using conventional polyenergetic spectrum (PS) CT with peak beam energies 80, 100, 120, and 140 kVp. The histological calcium areas on each corresponding CEA specimen were traced manually on digitized images of Toluidine-Blue/Basic-Fuchsin stained plastic sections. RESULTS: 40 keV VMS CT images provided high detection sensitivity (97 \\\\%) similar to conventional PS CT images (~96 \\\\%). The calcification size measured on CT decreased systematically with increasing CT beam energy; the rate of change was larger for the VMS images than for PS images. CONCLUSION: From a single dual-energy CT, multiple VMS-CT images can be generated, yielding equivalent detection sensitivity and size correlations as conventional PS-CT in CEA calcification imaging. VMS-CT at 80-100 keV provided the most accurate estimates of calcification size, as compared to histology, but detection sensitivity was reduced for smaller calcifications on these images. KEY POINTS: * Calcifications depicted at 80-100 keV were most similar to the histology standard. * Conventional polychromatic images demonstrated excellent correlation with plaque size at pathology. * Conventional polychromatic images systematically overestimate plaque size. * Plaque calcifications can be missed on high energy monochromatic images.
Dual energy computed tomography quantification of carotid plaques calcification: comparison between monochromatic and polychromatic energies with pathology correlation
Dual energy computed tomography quantification of carotid plaques calcification: comparison between monochromatic and polychromatic energies with pathology correlation
Ntziachristos V, Cuénod CA, Fournier L, Balvay D, Pradel C, Siauve N, Clement O, Jouannot E, Lucidarme O, Vecchio SD, Salvatore M, Law B, Tung C-H, Jain RK, Fukumura D, Munn LL, Brown EB, Schellenberger E, Montet X, Weissleder R, Clerck ND, Postnov A * Tumor Imaging(446 views) Textbook Of In Vivo Imaging In Vertebrates (ISSN: 9780-4700), 2007 Jul 16; 1: 277-309. Impact Factor:1.148 ViewExport to BibTeXExport to EndNote